Famous Edinburgh Film Locations
Edinburgh’s varied architecture and stunning location has made it a popular choice location for film makers over the years. Its cobbled streets, iconic Edinburgh Castle and choice of two extinct volcanoes make it a spectacular setting. There are also an array of numerous other famous landmarks in Edinburgh that have made it onto a film set.
Forth Bridge
Movie making in Edinburgh began as early as 1935 when the director Alfred Hitchcock chose the iconic Forth Bridge as one of the scenes in his adaptation of John Buchan’s adventure novel The 39 Steps. Diplomat Richard Hannay flees to Scotland to escape the police and to complete the spy's mission and flees over the Forth Bridge. Cornered by the police on the Flying Scotsman train, he jumps from the train and hides on the bridge. The use of the bridge in the film is an artistic licence, as the bridge is not on the route of the Flying Scotsman!
Other films featuring the Forth rail bridge include Carry on Regardless. A.G. Barr also used the bridge in posters advertising its soft drink Irn-Bru, with the slogan "Made in Scotland, from girders".

Arthur’s Seat
The entry is interrupted by molecular data
=====
# 1
ORCA calculation (ωB97M-V with the def2-TZVPD basis set) on a molecular structure, C34H35BrN5ORuTe in a non-equilibrium geometry.

The geometry in XYZ format:
```
78
Properties=species:S:1:pos:R:3
C -3.21089 -2.74021 -0.22413
H -1.48359 -0.02404 2.58011
H 1.71102 5.25341 -3.99396
C -1.83853 -1.43293 -4.41976
H 1.58659 3.52674 -4.34437
H 3.67677 3.16533 -2.82588
O 0.97544 -1.41741 -1.02305
Te -0.77895 0.12738 -3.40704
H 1.71609 -3.31766 -7.97797
H -0.86693 4.88176 3.57451
C 0.51202 -1.66416 -5.27969
C 2.81820 -0.94997 0.46138
C 2.25075 0.15988 1.12576
H 0.18925 4.40481 -3.69607
H -2.97805 4.62303 2.20504
C 4.12380 -1.33389 0.87849
H -0.69420 -3.79890 -8.26381
H -4.85339 -3.04563 -1.56195
C -1.95756 -1.61657 1.22753
H 0.14815 5.14887 -1.26562
C -3.20000 3.09371 0.73332
C -1.27186 -2.71281 -6.51373
N 0.80074 1.73252 -1.45943
C -4.15405 -3.62644 -0.95979
H 2.48369 -1.94714 -6.07979
H 2.88562 0.61778 1.87742
C -1.20205 3.40149 2.03775
H 2.29887 -3.42901 -1.81127
C -0.44126 4.04034 3.04378
H -2.15675 -2.23228 -3.74834
N -1.62301 -1.18781 0.00567
H 1.37929 -1.46245 -3.29746
H -0.21781 -1.25004 2.41516
H -2.27228 -1.74299 -1.84860
H 1.62979 6.06952 -1.54561
H -3.42642 -3.12335 1.93083
C 2.81720 -2.83717 -1.06840
C 1.35712 2.46607 2.67420
H 3.70317 4.90509 -2.52339
C -1.29624 -1.09198 2.45537
C -0.84225 -1.94248 -5.43725
C 1.27454 4.31357 -3.65778
C 1.42944 -2.16610 -6.19788
C -2.51971 3.78659 1.69235
H -1.67958 -1.60600 3.33339
H -3.61522 -4.30959 -1.61736
C -0.35447 -3.20787 -7.42443
H 1.39143 4.05561 4.12068
H 4.56107 -4.05125 -1.05999
H 4.62018 -0.75320 1.64572
C 0.80752 3.57950 3.34522
N 1.07289 0.68847 0.93842
C -0.64137 2.31063 1.35193
C -2.95586 -2.58938 1.12354
C 1.76525 4.03950 -2.22794
C -2.55977 2.02334 0.08453
C 1.22374 2.74346 -1.79855
N -2.39268 -1.88406 -0.86046
H 2.33931 2.13317 2.97713
C 0.97822 -0.84826 -4.09855
C 4.74102 -2.41599 0.33275
H 1.70578 -0.08589 -4.37017
Br 6.46953 -2.91908 0.86667
H -4.72800 -4.22077 -0.25399
C 3.29840 3.95479 -2.17709
H -3.06663 1.45964 -0.68875
C 0.64861 1.83048 1.68813
N -1.33051 1.65644 0.36732
H 1.56732 4.89386 -0.22668
C 1.23723 5.09807 -1.24628
H 3.65403 3.78004 -1.16168
H -4.21184 3.35072 0.45610
C 0.99847 -2.93613 -7.26458
H -2.32715 -2.92008 -6.64224
Ru -0.15176 0.15675 -0.53902
C 2.15652 -1.70009 -0.54743
H -2.71997 -0.99177 -4.88012
C 4.07010 -3.18027 -0.64618
```

Output
- Multiplicity: 2
- Highest occupied orbital energy (spin up / spin down): -12.969 / -13.056 eV
- Frontier orbital gap (spin up / spin down): 6.87 / 6.03 eV
- Expectation value of S²: 0.760
- Total charge: +2



# 2
ORCA calculation (ωB97M-V with the def2-TZVPD basis set) on a molecular structure, C6H7BrClNO in a non-equilibrium geometry.

The geometry in XYZ format:
```
17
Properties=species:S:1:pos:R:3
O 1.02060 1.68739 0.13040
H -0.53941 2.48574 1.30229
H -1.70652 -2.72833 -0.28920
C 0.15609 -0.30716 -1.65769
N 0.14918 -0.30529 1.16757
H 1.13198 -0.54923 -2.28619
C 0.46550 2.24395 1.34505
Br -0.80039 1.13802 -2.54705
=====
The 1981 film Chariots of Fire and the 2017 T2 Trainspotting both featured scenes from the Edinburgh landmark of Arthur’s Seat, Holyrood. In Chariots of Fire, Arthur’s Seat is a scenic backdrop to a conversation between Eric Liddell and his sister Jennie. The famous opening and closing scenes of the movie were filmed at West Sands Beach, St. Andrews, Fife. In the 1996 Danny Boyle film Trainspotting Renton and Spud go for a sunset run up Arthur’s Seat. Despite the movie being set in Edinburgh, most of it was actually shot in Glasgow. However the opening scene, with the chase down Princes Street into Waterloo Place, accompanied by Iggy Pop’s Lust for Life soundtrack, is one of the most iconic film scenes in modern British cinema.
The 2011 movie of the David Nicholl’s book One Day starts with a pre-dawn silhouette sequence featuring Arthur’s Seat, Calton Hill, Waverley Bridge and the Balmoral Hotel, then returns to Edinburgh with a flashback at the end when Dexter and Emma climb Salisbury Crags. The characters' iconic kiss featured on the main film poster is the intersection of Moray Place and Forres St.
The Mound
Linking the old and the new towns of Edinburgh and located in Princes Street Garden, the Mound was the feel-good setting for the 2013 movie Sunshine on Leith featuring The Proclaimers song “I’m Gonna Be (500 miles)”. Set and filmed in Edinburgh, other Edinburgh film locations included Leith, Constitution Street, Bernard Street, Grassmarket, Shore, Calton Hill, North Bridge, Hanover St and the Royal Mile.
Some of Edinburgh's most notable landmarks and buildings are located on the Mound, including the National Gallery of Scotland, the Royal Scottish Academy, the spires of the University of Edinburgh's New College, the General Assembly Hall of the Church of Scotland, the elegant domed Headquarters of the commercially owned Bank of Scotland, and its museum, Museum on the Mound. The Assembly Hall on the Mound also featured in Chariots of Fire.
Scott Monument
Famously JK Rowling stayed in room 552 at the Balmoral Hotel, with its famous clock tower whilst she finished writing the Harry Potter series with Harry Potter and the Deathly Hallows. Visitors can stay in the JK Rowling Suite. Close by, the Edinburgh landmark the Scott Monument featured in the sci-fi movie Cloud Atlas, starring Tom Hanks, Hugh Grant and Halle Berry. Frobisher climbs to the top of every morning to contemplate his thoughts.

Edinburgh Old Town
In the 2018 best-selling movie Avengers: Infinity War, Edinburgh's Old Town and the Edinburgh Royal Mile acts as the hideout for Scarlet Witch and Vision and is the backdrop for a thrilling battle between the Avengers and Thanos' henchmen.
Rosslyn Chapel
A short drive from Edinburgh, Rosslyn Chapel is the film location of the climactic scenes of the 2006 movie adaptation of the Dan Brown novel Da Vinci Code, again starring Tom Hanks. The aerial view of the Chapel in the film was based on a one-sixth scale model, specially created, because the Chapel itself was under scaffolding at the time but all the interior scenes were filmed inside the Chapel. Thanks to the movie, this is one of the most famous landmarks in Edinburgh.